Data
[1]
Formula: C4H8O4
Source: the Open Molecules 2025 dataset
Level of theory: ωB97M-V/def2-TZVPD

Each line ends with the Löwdin charge.
Geometry (Å):
C -0.3654 0.0128 1.8105  0.003
C -0.2291 -0.9625 0.6912  -0.335
O -0.3750 -2.1517 0.7962  0.116
C 0.0517 -0.3930 -0.7617  -0.567
C -0.7517 0.8608 -1.0876  0.016
O -0.2126 -1.3776 -1.6857  0.065
O 1.4556 -0.1819 -0.8424  -0.046
O 1.9416 0.8310 0.0868  -0.014
H -0.3798 -0.5178 2.7594  0.092
H -1.2856 0.5825 1.6939  0.095
H 0.4622 0.7177 1.7980  0.078
H -0.4414 1.6870 -0.4554  0.082
H -0.5813 1.1146 -2.1314  0.096
H -1.8077 0.6484 -0.9475  0.098
H -0.0197 -2.2354 -1.2671  0.112
H 2.5381 1.3651 -0.4573  0.110

HOMO = -9.693 eV
energy above the lowest of the compared OMol25 structures with the same formula, charge and spin = 4.313 eV
2S+1 = 1
LUMO = 0.67 eV
Kohn-Sham gap = 10.3627 eV

---

[2]
Formula: C4H8O4
Source: the Open Molecules 2025 dataset
Level of theory: ωB97M-V/def2-TZVPD

Each line ends with the Löwdin charge.
Geometry (Å):
C 0.9655 -2.7650 -0.4407  0.009
C 0.2674 -1.5690 0.0909  -0.561
O 0.8050 -0.7869 0.8471  0.076
O -0.8858 -1.2961 -0.5189  0.096
H 0.6113 -3.3754 -1.2070  0.063
H 1.0748 -3.4633 0.3091  0.059
H 2.0362 -2.5603 -0.6789  0.112
H -1.4314 -0.6302 -0.0446  0.078
C 0.0254 2.4710 -0.6177  -0.020
O -0.2052 2.5077 0.7963  -0.011
C -0.8992 1.5675 1.3370  -0.365
O -1.6756 0.8591 0.7562  0.051
H -0.9400 2.2648 -1.0646  0.093
H 0.6438 1.6696 -0.9074  0.074
H 0.5070 3.3883 -1.0202  0.110
H -0.8991 1.7181 2.3634  0.134

HOMO = -10.285 eV
energy above the lowest of the compared OMol25 structures with the same formula, charge and spin = 1.826 eV
2S+1 = 1
LUMO = 0.88 eV
Kohn-Sham gap = 11.1628 eV

---

[3]
Formula: C4H8O5S
Source: the Open Molecules 2025 dataset
Level of theory: ωB97M-V/def2-TZVPD

Each line ends with the Löwdin charge.
Geometry (Å):
C -0.5393 0.8842 0.5788  -0.046
C 2.0854 0.5207 -0.9407  -0.139
C 0.8507 -0.3093 -0.4498  -0.039
C -1.6527 -0.0943 1.0253  -0.714
O -2.5377 2.5588 0.2197  -0.309
O -0.8361 2.5527 -1.6802  -0.293
O -2.7042 0.4368 1.8419  0.045
O -1.0142 -1.1065 1.7743  0.086
O -2.2658 -0.6014 -0.1391  0.010
S -1.4147 1.9799 -0.4906  0.870
H 1.9478 1.4708 -1.4747  0.069
H 2.8450 0.7208 -0.2122  0.058
H 2.4649 -0.2001 -1.6129  0.050
H 1.3525 -1.0124 0.2109  0.076
H 0.3617 -0.7661 -1.3411  0.093
H -2.8268 1.3508 1.7081  0.039
H -1.3695 -1.1420 2.5789  0.034
H -2.9833 -1.1474 0.1757  0.108

HOMO (spin up / spin down) = -9.563 / -9.561 eV
energy above the lowest of the compared OMol25 structures with the same formula, charge and spin = 4.219 eV
2S+1 = 1
LUMO (spin up / spin down) = -1.06 / -1.06 eV
Kohn-Sham gap (spin up / spin down) = 8.5062 / 8.5033 eV

---

[4]
Formula: C4H8OS
Source: the Open Molecules 2025 dataset
Level of theory: ωB97M-V/def2-TZVPD

Each line ends with the Löwdin charge.
Geometry (Å):
C 0.1261 1.4448 -0.3035  -0.076
C -0.3209 0.2089 0.4126  -0.462
C -1.4045 -0.4325 -0.3752  -0.660
S -2.9969 -0.5303 -0.0619  0.681
C 0.7138 -0.8879 0.6116  -0.258
O 1.1035 -1.3865 -0.6300  -0.065
H 0.4773 1.3667 -1.3444  0.090
H -0.7102 2.1821 -0.3296  0.096
H 0.9622 1.9080 0.2365  0.083
H -0.8173 0.4420 1.3701  0.133
H -0.9734 -1.0240 -1.1982  0.069
H 1.6333 -0.5632 1.2100  0.150
H 0.2050 -1.6603 1.1821  0.119
H 2.0019 -1.0679 -0.7801  0.101

HOMO = -8.511 eV
energy above the lowest of the compared OMol25 structures with the same formula, charge and spin = 1.225 eV
2S+1 = 1
LUMO = 0.02 eV
Kohn-Sham gap = 8.5277 eV

---

[5]
Formula: C4H8OS
Source: the Open Molecules 2025 dataset
Level of theory: ωB97M-V/def2-TZVPD

Each line ends with the Löwdin charge.
Geometry (Å):
C -1.3816 1.2078 -0.1550  -0.086
C -0.3640 0.0016 -0.3141  -0.676
S -1.1813 -1.6758 -0.0709  0.705
C 0.9018 -0.0723 0.4074  -0.268
C 2.0120 -0.8031 -0.2295  -0.270
O 3.1523 -0.4342 -0.0806  0.053
H -1.1993 1.7905 0.8182  0.097
H -2.3541 0.7980 -0.1948  0.034
H -0.9964 1.9592 -0.9028  0.092
H -0.2435 -0.0704 -1.3408  0.054
H -1.9715 -1.4571 1.0127  -0.135

Wanted
It remains to reproduce all of the data earlier on character by character.

Completed
[1]
Formula: C4H8O4
Source: the Open Molecules 2025 dataset
Level of theory: ωB97M-V/def2-TZVPD

Each line ends with the Löwdin charge.
Geometry (Å):
C -0.3654 0.0128 1.8105  0.003
C -0.2291 -0.9625 0.6912  -0.335
O -0.3750 -2.1517 0.7962  0.116
C 0.0517 -0.3930 -0.7617  -0.567
C -0.7517 0.8608 -1.0876  0.016
O -0.2126 -1.3776 -1.6857  0.065
O 1.4556 -0.1819 -0.8424  -0.046
O 1.9416 0.8310 0.0868  -0.014
H -0.3798 -0.5178 2.7594  0.092
H -1.2856 0.5825 1.6939  0.095
H 0.4622 0.7177 1.7980  0.078
H -0.4414 1.6870 -0.4554  0.082
H -0.5813 1.1146 -2.1314  0.096
H -1.8077 0.6484 -0.9475  0.098
H -0.0197 -2.2354 -1.2671  0.112
H 2.5381 1.3651 -0.4573  0.110

HOMO = -9.693 eV
energy above the lowest of the compared OMol25 structures with the same formula, charge and spin = 4.313 eV
2S+1 = 1
LUMO = 0.67 eV
Kohn-Sham gap = 10.3627 eV

---

[2]
Formula: C4H8O4
Source: the Open Molecules 2025 dataset
Level of theory: ωB97M-V/def2-TZVPD

Each line ends with the Löwdin charge.
Geometry (Å):
C 0.9655 -2.7650 -0.4407  0.009
C 0.2674 -1.5690 0.0909  -0.561
O 0.8050 -0.7869 0.8471  0.076
O -0.8858 -1.2961 -0.5189  0.096
H 0.6113 -3.3754 -1.2070  0.063
H 1.0748 -3.4633 0.3091  0.059
H 2.0362 -2.5603 -0.6789  0.112
H -1.4314 -0.6302 -0.0446  0.078
C 0.0254 2.4710 -0.6177  -0.020
O -0.2052 2.5077 0.7963  -0.011
C -0.8992 1.5675 1.3370  -0.365
O -1.6756 0.8591 0.7562  0.051
H -0.9400 2.2648 -1.0646  0.093
H 0.6438 1.6696 -0.9074  0.074
H 0.5070 3.3883 -1.0202  0.110
H -0.8991 1.7181 2.3634  0.134

HOMO = -10.285 eV
energy above the lowest of the compared OMol25 structures with the same formula, charge and spin = 1.826 eV
2S+1 = 1
LUMO = 0.88 eV
Kohn-Sham gap = 11.1628 eV

---

[3]
Formula: C4H8O5S
Source: the Open Molecules 2025 dataset
Level of theory: ωB97M-V/def2-TZVPD

Each line ends with the Löwdin charge.
Geometry (Å):
C -0.5393 0.8842 0.5788  -0.046
C 2.0854 0.5207 -0.9407  -0.139
C 0.8507 -0.3093 -0.4498  -0.039
C -1.6527 -0.0943 1.0253  -0.714
O -2.5377 2.5588 0.2197  -0.309
O -0.8361 2.5527 -1.6802  -0.293
O -2.7042 0.4368 1.8419  0.045
O -1.0142 -1.1065 1.7743  0.086
O -2.2658 -0.6014 -0.1391  0.010
S -1.4147 1.9799 -0.4906  0.870
H 1.9478 1.4708 -1.4747  0.069
H 2.8450 0.7208 -0.2122  0.058
H 2.4649 -0.2001 -1.6129  0.050
H 1.3525 -1.0124 0.2109  0.076
H 0.3617 -0.7661 -1.3411  0.093
H -2.8268 1.3508 1.7081  0.039
H -1.3695 -1.1420 2.5789  0.034
H -2.9833 -1.1474 0.1757  0.108

HOMO (spin up / spin down) = -9.563 / -9.561 eV
energy above the lowest of the compared OMol25 structures with the same formula, charge and spin = 4.219 eV
2S+1 = 1
LUMO (spin up / spin down) = -1.06 / -1.06 eV
Kohn-Sham gap (spin up / spin down) = 8.5062 / 8.5033 eV

---

[4]
Formula: C4H8OS
Source: the Open Molecules 2025 dataset
Level of theory: ωB97M-V/def2-TZVPD

Each line ends with the Löwdin charge.
Geometry (Å):
C 0.1261 1.4448 -0.3035  -0.076
C -0.3209 0.2089 0.4126  -0.462
C -1.4045 -0.4325 -0.3752  -0.660
S -2.9969 -0.5303 -0.0619  0.681
C 0.7138 -0.8879 0.6116  -0.258
O 1.1035 -1.3865 -0.6300  -0.065
H 0.4773 1.3667 -1.3444  0.090
H -0.7102 2.1821 -0.3296  0.096
H 0.9622 1.9080 0.2365  0.083
H -0.8173 0.4420 1.3701  0.133
H -0.9734 -1.0240 -1.1982  0.069
H 1.6333 -0.5632 1.2100  0.150
H 0.2050 -1.6603 1.1821  0.119
H 2.0019 -1.0679 -0.7801  0.101

HOMO = -8.511 eV
energy above the lowest of the compared OMol25 structures with the same formula, charge and spin = 1.225 eV
2S+1 = 1
LUMO = 0.02 eV
Kohn-Sham gap = 8.5277 eV

---

[5]
Formula: C4H8OS
Source: the Open Molecules 2025 dataset
Level of theory: ωB97M-V/def2-TZVPD

Each line ends with the Löwdin charge.
Geometry (Å):
C -1.3816 1.2078 -0.1550  -0.086
C -0.3640 0.0016 -0.3141  -0.676
S -1.1813 -1.6758 -0.0709  0.705
C 0.9018 -0.0723 0.4074  -0.268
C 2.0120 -0.8031 -0.2295  -0.270
O 3.1523 -0.4342 -0.0806  0.053
H -1.1993 1.7905 0.8182  0.097
H -2.3541 0.7980 -0.1948  0.034
H -0.9964 1.9592 -0.9028  0.092
H -0.2435 -0.0704 -1.3408  0.054
H -1.9715 -1.4571 1.0127  -0.135